**Wanted**
Now duplicate the data underneath from the line with "Pr: 0.8122" to the end without additions.
**Input**
____________
Pr5CoSb2 after structural relaxation, computed with PBE.

Output
calculated volume = 30.529 Å³ per atom
E_form = -5.7 eV/f.u.
symmetry = Pnma

a = 12.9916 Å, b = 8.9606 Å, c = 8.3919 Å
α = 90.00°, β = 90.00°, γ = 90.00°
Positions (direct):
Pr: 0.0022 0.2500 0.0462
Pr: 0.0733 0.5324 0.3290
Pr: 0.0733 0.9676 0.3290
Pr: 0.1878 0.2500 0.6481
Pr: 0.2030 0.7500 0.6686
Pr: 0.2970 0.2500 0.1686
Pr: 0.3122 0.7500 0.1481
Pr: 0.4267 0.0324 0.8290
Pr: 0.4267 0.4676 0.8290
Pr: 0.4978 0.7500 0.5462
Pr: 0.5022 0.2500 0.4538
Pr: 0.5733 0.5324 0.1710
Pr: 0.5733 0.9676 0.1710
Pr: 0.6878 0.2500 0.8519
Pr: 0.7030 0.7500 0.8314
Pr: 0.7970 0.2500 0.3314
Pr: 0.8122 0.7500 0.3519
Pr: 0.9267 0.0324 0.6710
Pr: 0.9267 0.4676 0.6710
Pr: 0.9978 0.7500 0.9538
Co: 0.0072 0.2500 0.4298
Co: 0.4928 0.7500 0.9298
Co: 0.5072 0.2500 0.0702
Co: 0.9928 0.7500 0.5702
Sb: 0.1773 0.0029 0.9509
Sb: 0.1773 0.4971 0.9509
Sb: 0.3227 0.5029 0.4509
Sb: 0.3227 0.9971 0.4509
Sb: 0.6773 0.0029 0.5491
Sb: 0.6773 0.4971 0.5491
Sb: 0.8227 0.5029 0.0491
Sb: 0.8227 0.9971 0.0491
____________
**Completed**
Pr: 0.8122 0.7500 0.3519
Pr: 0.9267 0.0324 0.6710
Pr: 0.9267 0.4676 0.6710
Pr: 0.9978 0.7500 0.9538
Co: 0.0072 0.2500 0.4298
Co: 0.4928 0.7500 0.9298
Co: 0.5072 0.2500 0.0702
Co: 0.9928 0.7500 0.5702
Sb: 0.1773 0.0029 0.9509
Sb: 0.1773 0.4971 0.9509
Sb: 0.3227 0.5029 0.4509
Sb: 0.3227 0.9971 0.4509
Sb: 0.6773 0.0029 0.5491
Sb: 0.6773 0.4971 0.5491
Sb: 0.8227 0.5029 0.0491
Sb: 0.8227 0.9971 0.0491